Stop Renting & Become A Homeowner

What is so frustrating about renting? Not allowed to have a pet. Can’t decorate the way you want. Not allowed to put a garden in your backyard. Can’t have people stay with you. Probably at the top of the list is wasting $$$!!! Just think about it. Multiply the amount you spend each month by 12 to find out how much you are throwing away in one year. Now multiply that number by 5 to find out how much money you will lose in 5 years if you don’t get into home ownership!

For example, if your monthly mortgage is $1,200, you will pay $14,400 in one year to your landlord. Over five years that adds up to $72,000! You are throwing that money away instead of paying your own mortgage on your own home. 

You probably also heard that interest rates are at record lows. This makes a huge impact on monthly interest amounts and monthly payment. Chances are you can buy a great house that you love with monthly payments similar to what you are paying for rent. 

So, let’s get you into your own home! Here’s how we start:

Crystal structures, kept here for reference.
First-principles (GGA-PBEsol) data for a relaxed CaMgTeN2 crystal, as listed in the Alexandria database.

abc: 4.2972 4.2972 5.6449
angles: 90.00 90.00 90.00
Space group P4/mmm (No. 123)
Symmetry-distinct sites (fractional):
Ca (0.0000, 0.0000, 0.0000) x1
Mg (0.5000, 0.5000, 0.5000) x1
Te (0.5000, 0.5000, 0.0000) x1
N (0.0000, 0.5000, 0.5000) x2

Formation energy without anion corrections = 0.526 eV per atom
Size of the total moment = 4.007 Bohr magnetons per cell
E_tot = -4.360 eV per atom

First-principles (GGA-PBEsol) data for a relaxed KCaMg4 crystal, as listed in the Alexandria database.

abc: 8.9521 8.9521 8.9521
angles: 90.00 90.00 90.00
Space group F-43m (No. 216)
Symmetry-distinct sites (fractional):
K (0.0000, 0.0000, 0.0000) x4
Ca (0.2500, 0.2500, 0.7500) x4
Mg (0.1241, 0.1241, 0.3759) x16

Formation energy from the elements = 41 meV/atom
Size of the total moment = 0.002 Bohr magnetons per cell
E_tot = -1.648 eV per atom

First-principles (GGA-PBEsol) data for a relaxed CaClF3 crystal, as listed in the Alexandria database.

abc: 4.4309 4.4309 4.4309
angles: 90.00 90.00 90.00
Space group Pm-3m (No. 221)
Symmetry-distinct sites (fractional):
Ca (0.0000, 0.0000, 0.0000) x1
Cl (0.5000, 0.5000, 0.5000) x1
F (0.0000, 0.5000, 0.5000) x3

Formation energy without anion corrections = -1.417 eV per atom
Size of the total moment = 0.164 Bohr magnetons per cell
E_tot = -3.402 eV per atom

----------

ReIr | PBE | relaxed

Values from the calculation:
Energy relative to the elements = 0.408 eV/atom
Energy above the lowest structure with this stoichiometry = 684.7 meV/atom
Calculated volume = 196.6 Å³ per cell

Cell: 3.5366 6.7123 8.2824 Å, 90.00 90.00 90.00°
With the nearest neighbours (Å) after each atom.
Space group Amm2 (No. 38)
One atom of each set of equivalent atoms:
Re1 0.0000 0.0000 0.0000 [2 per cell]  6 Ir 2.56-2.80, 4 Re 2.74
Re2 0.5000 0.1877 0.4996 [4 per cell]  3 Re 2.52-2.74, 4 Ir 2.61-2.80
Ir1 0.0000 0.1993 0.7347 [4 per cell]  4 Re 2.57-2.80, 3 Ir 2.68-2.69
Ir2 0.5000 0.0000 0.2235 [2 per cell]  6 Re 2.56-2.80, 4 Ir 2.69

ReIr | PBE | relaxed

Values from the calculation:
Energy relative to the elements = 0.587 eV/atom
Energy above the lowest structure with this stoichiometry = 863.2 meV/atom
Calculated volume = 30.3 Å³ per cell

Cell: 3.1180 3.1180 3.1180 Å, 90.00 90.00 90.00°
With the nearest neighbours (Å) after each atom.
Space group Pm-3m (No. 221)
One atom of each set of equivalent atoms:
Re1 0.0000 0.0000 0.0000 [1 per cell]  8 Ir 2.70
Ir1 0.5000 0.5000 0.5000 [1 per cell]  8 Re 2.70

ReIr | PBE | relaxed

Values from the calculation:
Energy relative to the elements = -0.070 eV/atom
Energy above the lowest structure with this stoichiometry = 206.5 meV/atom
Calculated volume = 88.1 Å³ per cell

Cell: 2.7351 2.7351 13.6052 Å, 90.00 90.00 120.00°
With the nearest neighbours (Å) after each atom.
Space group R-3m (No. 166, hexagonal axes)
One atom of each set of equivalent atoms:

  1. Fix Credit. Check your credit and make sure there’s nothing there that will keep you from getting a mortgage, or damage your credit score. If you don’t know where to start, a good lender can check your credit and give you steps to get it fixed.
  1. Save for Closing Costs. It costs some money to buy a home. Save, save, save! You may also be able to get help from your family or even the sellers. Give yourself a head start by saving.
  1. Check Lease Terms. Understand your lease. When does it end? Can you go month-to-month and does that affect the monthly rent amount? Also find out how much notice you have to give to end your lease.
  1. Get Your Pre-Approval. This is when your lender checks your credit, debt, and income to figure out how much you can spend on a house. The lender then gives you a “pre-approval letter” and you can start looking for a home.

• Calculated crystals from another source follow:
=====
# 1
An optimized crystal structure of P2OsSe, computed with GGA-PBE.

Cell: 3.566 4.801 5.325 Å, 96.84 109.57 89.98°
Fractional coordinates of all 4 atoms:
P: 0.470 0.870 0.517
P: 0.407 0.403 0.392
Os: 0.000 0.172 0.578
Se: 0.188 0.531 0.956

## Properties
Energy relative to the elements, uncorrected (kJ per mole of atoms): 12.8
Magnetization (Bohr magnetons per cell): 0.0

# 2
An optimized crystal structure of SiIr4, computed with GGA-PBE.

Cell: 4.686 4.686 4.686 Å, 99.99 99.99 130.77°
Fractional coordinates of all 5 atoms:
Si: 0.000 0.000 0.000
Ir: 0.803 0.395 0.198
Ir: 0.395 0.197 0.592
Ir: 0.197 0.605 0.802
Ir: 0.605 0.803 0.408

## Properties
Energy relative to the elements, uncorrected (kJ per mole of atoms): -8.9
Magnetization (Bohr magnetons per cell): 0.0
Energy relative to the lowest polymorph listed for this composition (eV per formula unit): 0.00

# 3
An optimized crystal structure of TbErPtPb, computed with GGA-PBE.

Cell: 5.179 5.179 5.179 Å, 60.00 60.00 60.00°
Fractional coordinates of all 4 atoms:
Pb: 0.250 0.250 0.250
Tb: 0.500 0.500 0.500
Pt: 0.750 0.750 0.750
Er: 0.000 0.000 0.000

## Properties
Magnetization (Bohr magnetons per cell): 0.0
Formation enthalpy at 0 K (eV/f.u.): -2.956

# 4
An optimized crystal structure of RbIn2, computed with GGA-PBE.

Cell: 6.609 6.609 6.609 Å, 60.00 60.00 60.00°
Fractional coordinates of all 6 atoms:
Rb: 0.000 0.000 0.000
Rb: 0.250 0.250 0.250
In: 0.125 0.625 0.625
In: 0.625 0.125 0.625
In: 0.625 0.625 0.625
In: 0.625 0.625 0.125

## Properties
Magnetization (Bohr magnetons per cell): 0.0
Energy relative to the lowest polymorph listed for this composition (eV per formula unit): 0.08
Formation enthalpy at 0 K (eV/f.u.): -0.225

What is the magnetization in the fourth record? 0.0 Bohr magnetons per cell

What is the magnetization in the third record? 0.0 Bohr magnetons per cell

Which value of magnetization does entry 3 give? 0.0 Bohr magnetons per cell

=====

(1)
## Tl5CdPb (PBE)

Data for a relaxed Tl5CdPb crystal.

```
data_Tl5CdPb
_chemical_formula_sum 'Tl20 Cd4 Pb4'
_symmetry_space_group_name_H-M 'C 1 2/c 1'
_symmetry_Int_Tables_number 15
_cell_length_a 11.773
_cell_length_b 6.690
_cell_length_c 11.384
_cell_angle_alpha 90.00
_cell_angle_beta 102.49
_cell_angle_gamma 90.00
loop_
_symmetry_equiv_pos_as_xyz
'x,y,z'
'-x,-y,-z'
'-x,y,-z+1/2'
'x,-y,z+1/2'
'x+1/2,y+1/2,z'
'-x+1/2,-y+1/2,-z'
'-x+1/2,y+1/2,-z+1/2'
'x+1/2,-y+1/2,z+1/2'
loop_
_atom_site_label
_atom_site_type_symbol
_atom_site_fract_x
_atom_site_fract_y
_atom_site_fract_z
_atom_site_occupancy
Tl1 Tl 0.000 0.178 0.250 1
Tl2 Tl 0.147 0.420 0.039 1
Tl3 Tl 0.234 0.120 0.669 1
Cd1 Cd 0.000 0.000 0.000 1
Pb1 Pb 0.000 0.330 0.750 1
```

(2)
## TlCd4Pb15 (PBE)

Data for a relaxed TlCd4Pb15 crystal.

```
data_TlCd4Pb15
_chemical_formula_sum 'Tl1 Cd4 Pb15'
_symmetry_space_group_name_H-M 'P 4/m m m'
_symmetry_Int_Tables_number 123
_symmetry_space_group_name_Hall '-P 4 2'
_cell_length_a 4.889
_cell_length_b 4.889
_cell_length_c 25.186
=====

I’m here to walk with you every step of the way. Please contact me with any questions. I can also put you in touch with trusted lenders. Let’s get you into your own home!

Data records, as found in the file
-- begin --
VASP calculation (PBE with a Hubbard U) on MoRu3O after structural relaxation.

As for the crystal system: cubic. The value obtained for the total energy is -5.525 eV per atom.

```
data_MoRu3O
_cell_length_a 4.700
_cell_length_b 4.700
_cell_length_c 4.700
_cell_angle_alpha 90.00
_cell_angle_beta 90.00
_cell_angle_gamma 90.00
_symmetry_space_group_name_H-M 'P m -3 m'
_symmetry_Int_Tables_number 221
_symmetry_space_group_name_Hall '-P 4 2 3'
loop_
_atom_site_label
_atom_site_type_symbol
_atom_site_fract_x
_atom_site_fract_y
_atom_site_fract_z
_atom_site_occupancy
Mo1 Mo 0.000 0.000 0.000 1
Ru1 Ru 0.000 0.000 0.500 1
O1 O 0.500 0.500 0.500 1
```


VASP calculation (PBE with a Hubbard U) on MoRuO2 after structural relaxation.

As for the crystal system: tetragonal. The value obtained for the total energy is -6.858 eV per atom.

```
data_MoRuO2
_cell_length_a 4.709
_cell_length_b 4.709
_cell_length_c 9.766
_cell_angle_alpha 90.00
_cell_angle_beta 90.00
_cell_angle_gamma 90.00
_symmetry_space_group_name_H-M 'I -4 2 d'
_symmetry_Int_Tables_number 122
_symmetry_space_group_name_Hall 'I -4 2bw'
loop_
_atom_site_label
_atom_site_type_symbol
_atom_site_fract_x
_atom_site_fract_y
_atom_site_fract_z
_atom_site_occupancy
Mo1 Mo 0.000 0.000 0.000 1
Ru1 Ru 0.000 0.000 0.500 1
O1 O 0.240 0.250 0.125 1
```


VASP calculation (PBE with a Hubbard U) on MoRu2O6 after structural relaxation.

As for the crystal system: trigonal. The value obtained for the total energy is -7.310 eV per atom.

```
data_MoRu2O6
_cell_length_a 8.4556
_cell_length_b 8.4556
_cell_length_c 4.7245
_cell_angle_alpha 90.00
_cell_angle_beta 90.00
_cell_angle_gamma 120.00
_symmetry_space_group_name_H-M 'P 3 2 1'
_symmetry_Int_Tables_number 150
loop_
_symmetry_equiv_pos_as_xyz
'x,y,z'
'-y,x-y,z'
'-x+y,-x,z'
'y,x,-z'
'x-y,-y,-z'
'-x,-x+y,-z'
loop_
_atom_site_label
_atom_site_type_symbol
_atom_site_fract_x
_atom_site_fract_y
_atom_site_fract_z
_atom_site_occupancy
Mo1 Mo 0.0000 0.0000 0.0000 1
Mo2 Mo 0.3333 0.6667 0.4977 1
Ru1 Ru 0.0000 0.3247 0.0000 1
Ru2 Ru 0.0000 0.6598 0.5000 1
O1 O 0.0994 0.8775 0.2487 1
O2 O 0.1132 0.5464 0.2470 1
O3 O 0.2152 0.4457 0.7443 1
```


VASP calculation (PBE with a Hubbard U) on MoRu3O after structural relaxation.

As for the crystal system: cubic. The value obtained for the total energy is -7.494 eV per atom.

```
data_MoRu3O
_cell_length_a 4.100
_cell_length_b 4.100
_cell_length_c 4.100
_cell_angle_alpha 90.00
_cell_angle_beta 90.00
_cell_angle_gamma 90.00
_symmetry_space_group_name_H-M 'P m -3 m'
_symmetry_Int_Tables_number 221
_symmetry_space_group_name_Hall '-P 4 2 3'
loop_
_atom_site_label
_atom_site_type_symbol
_atom_site_fract_x
_atom_site_fract_y
_atom_site_fract_z
_atom_site_occupancy
Mo1 Mo 0.000 0.000 0.000 1
Ru1 Ru 0.000 0.500 0.500 1
O1 O 0.500 0.500 0.500 1
```


VASP calculation (PBE with a Hubbard U) on Mo2RuO8 after structural relaxation.

As for the crystal system: monoclinic. The value obtained for the total energy is -6.901 eV per atom.

```
-- stop --


Pricing Your Home to Sell 

What is the big deal about pricing your home right to sell? As a home seller, you may be thinking, “Wow, this market is great. There are so many buyers looking for homes they’ll pay anything! I’ll just mark my price up and see what offer I get.”

Unfortunately, this kind of thinking backfires. Even though buyers are looking for homes, they are pretty savvy and know what homes are selling for. Also, their real estate agent will be checking comparable homes to see what your home should be listed for and how your home compares to other homes on the market.

8 Must Haves for Your “Final Home” Purchase

In all cases, this “final home” purchase feels heavy. There’s a lot of pressure to find the perfect home. Here are some considerations to keep in mind if you are preparing to find your forever home.